


April 24, 2012

Case on Suspicious Death of Vodafone Employee Associated to Greek Wire-tapping Scandal Re-opens

A prose4cutor is getting set to open the scandalous wire-tapping issue and the suspicious death of a Vodafone software engineer who was reported to have hung himself because he did not want to be implicated in this controversy. More exactly, first instance prosecutor Haralambos Lakafosis is going to reopen the case into the death of 39-year-old Costas Tsalikidis, several months after experts suggested that he may have been murdered.

In 2006 a court ruled that the deceased committed suicide in March 2005 because he suposedely helped hack the phone of then-Prime Minister Costas Karamanlis and more than 100 other officials, however the family of Tsalikidis and their legal team have challenged this version of events.

In 2011, Theodoros Vougiouklakis and Steven Karch raised doubts in their reports about the initial autopsy. In fact Karch had said that “the most likely scenario” is that Tsalikidis “was sedated and/or poisoned and later hung after death.

On Sunday, August 28, 2011 hellasfrappe had written an article on this titled "Greek Watergate Scandal- US Embassy behind phone-tapping of Karamanlis". In this story we quoted an article that had appeared in a Sunday edition of Kathimerini claiming that the US Embassy in Athens was behind the wire-tapping against the former prime minister. The article noted that four of a total of fourteen mobile phones used by Karamanlis and his associates were purchased in the name of the US embassy.  Apart from the former prime minister, the commander of the Greek Secret Services (EYP), the head of the Greek police, several ministers and dozens of civilians were also apparently being monitored from an illegal software which was installed on these phones and which belonged to the Vodafone company in Greece. (Read full article here)

Here the article breaks off for molecular data
'''
1.
The following is a DFT calculation (ωB97M-V/def2-TZVPD) of a 17-piece molecular cluster, C6H43N2O16 overall.

```
! wB97M-V def2-TZVPD RIJCOSX def2/J DEFGRID3
* xyz 1 1
C -0.465 2.565 -0.627
C -0.301 1.090 -1.153
N -0.118 0.086 -0.038
C -0.942 -0.344 0.991
C -0.339 -1.235 1.870
N 0.799 -1.655 1.246
C 0.973 -0.817 0.147
C 1.681 -2.711 1.757
H -1.324 2.638 0.040
H -0.523 3.206 -1.506
H 0.416 2.792 -0.027
H 0.543 1.013 -1.838
H -1.234 0.803 -1.639
H -1.849 0.240 1.003
H -0.533 -1.609 2.865
H 1.856 -0.845 -0.474
H 1.034 -3.587 1.803
H 2.162 -2.304 2.646
H 2.404 -2.936 0.974
O 1.555 3.953 -2.777
H 1.051 4.614 -3.252
H 1.624 4.298 -1.887
O 1.455 -1.644 5.119
H 0.859 -1.068 4.641
H 1.891 -1.069 5.749
O -3.970 0.401 -3.453
H -3.882 0.785 -2.580
H -4.242 -0.502 -3.292
O -3.614 3.298 0.946
H -3.286 3.033 1.805
H -4.510 3.590 1.111
O -1.233 0.142 -4.613
H -1.116 -0.804 -4.523
H -2.132 0.301 -4.326
O 2.077 5.058 -0.266
H 2.268 5.864 -0.745
H 1.575 5.345 0.497
O 2.976 1.655 -3.031
H 2.726 2.575 -3.118
H 2.544 1.218 -3.765
O -4.255 -1.510 -1.023
H -4.897 -1.665 -0.330
H -3.870 -0.660 -0.808
O -2.786 -3.517 3.279
H -3.471 -4.174 3.152
H -3.177 -2.873 3.868
O 3.942 -0.240 2.225
H 3.878 0.547 2.767
H 4.093 0.091 1.339
O -1.592 -5.155 0.575
H -1.664 -5.900 -0.022
H -0.817 -5.345 1.103
O 4.602 -0.043 -1.374
H 4.005 0.619 -1.721
H 4.437 -0.819 -1.910
O 3.484 2.948 0.778
H 2.873 3.520 0.314
H 4.347 3.319 0.593
O 2.665 -2.009 -2.583
H 1.904 -2.499 -2.270
H 2.472 -1.829 -3.504
O -0.580 -5.150 3.116
H -0.048 -4.750 3.803
H -1.349 -4.585 3.048
O -4.332 1.251 -0.586
H -4.921 1.023 0.134
H -3.802 1.971 -0.244
*
```

Highest occupied orbital energy in eV: -12.697
Orbital gap in eV: 10.0
Energy relative to the best compared isomer or geometry (same formula, charge and spin) in kcal per mole: 29.52

2.
The following is a DFT calculation (ωB97M-V/def2-TZVPD) of one molecule with the formula C5H8O.

```
! wB97M-V def2-TZVPD RIJCOSX def2/J DEFGRID3
* xyz 0 1
C 0.365 0.478 -0.989
C 1.150 0.089 0.270
C 0.098 -0.101 1.345
O -0.994 0.781 1.209
C -1.514 -0.346 0.515
C -0.963 -0.290 -0.915
H 0.922 0.265 -1.907
H 0.163 1.552 -0.963
H 1.711 -0.844 0.130
H 1.865 0.865 0.563
H 0.400 -0.184 2.392
H -0.474 -1.147 1.194
H -0.876 -1.319 -1.286
H -1.750 0.189 -1.513
*
```

Highest occupied orbital energy in eV: -8.291
Orbital gap in eV: 9.3
Energy relative to the best compared isomer or geometry (same formula, charge and spin) in kcal per mole: 96.60

3.
The following is a DFT calculation (ωB97M-V/def2-TZVPD) of a 2-piece molecular cluster, C21H23N2O3 overall.

```
! wB97M-V def2-TZVPD RIJCOSX def2/J DEFGRID3
* xyz 1 1
C 4.303 -1.568 2.265
O 3.589 -0.320 2.414
C 2.247 -0.349 2.165
C 1.569 0.894 2.121
C 0.224 0.917 1.839
C -0.533 -0.279 1.677
C -1.981 -0.165 1.555
O -2.678 -1.301 1.662
C -4.064 -1.261 2.106
C 0.170 -1.514 1.720
C 1.515 -1.552 2.032
H 5.355 -1.307 2.274
H 4.067 -2.251 3.098
H 4.025 -2.052 1.313
H 2.148 1.783 2.359
H -0.288 1.885 1.757
H -2.421 0.761 1.978
'''
So much for the molecular data

In the article we featured a timeline of events before Tsalikidis’ death. Certainly if one goes through the information date by date then it is obvious that there is something "smelly" here.

The source of the timeline is from Wikipedia which was quoting all the reports at the time.
  • March 4, 2005 Vodafone discovers (as per company statements) foreign “interception” software in its network. Vodafone Greece doesn’t formally take the position that Ericsson installed before the Olympic games a “legal interception” software, which was subsequently locked and shut down.
  • March 5, 2005 - Vodafone decides to remove the foreign interception software without finding the culprits of the wire tapping. Thus, according to many experts the culprits can no longer be traced. Mr. Koronias, CEO of Vodafone Greece, claimed before the Parliamentary Committee on Transparency, no one had asked him to reactivate the illegal software in order to trace the phones that intercepted the conversations in question. The company claims that they have back up copies of the deleted data and that they committed no illegal act within the boundaries of the Act for the Protection of the Privacy of Telecommunications.
  • March 9, 2005 - Costantinos Tsalikidis, Network Planning Supervisor for Vodafone and top level manager for the company, is found dead in his apartment from in what looked like a suicide hanging. He never left a (suicide) note nor any indication that he was suffering from any personal problems. No autopsy was conducted and the forensic report was inconclusive. The circumstances surrounding the death of Tsalikidis, were characterized as questionable just one year later and directly connected to his professional position at Vodafone, so the Athens Prosecution re-opened the case. Vodafone Greece never sent a condolence telegraph to the deceased’s family, regardless of the fact that Mr. Tsalikidis worked at Vodafone for over a decade.
  • March 10, 2005 - The CEO of Vodafone Greece, Mr. Koronias, briefs the Prime Minister of Greece in the presence of a Prosecutor about the wire tapping. Among the phones that were tapped was that of the Prime Minister Costas Karamanlis as well as all the ministers of the current government, members of the Parliamentary opposition, as well as other non-parliamentary officials. He also mentions the "suicide" without however connecting it to the wire tapping incident. The following year however, in the context of the legal proceedings that began on February 8, 2006, Mr. Koronias claimed that he had the complete approval of the government, especially Karamanlis himself, for his actions. The matter was deemed one of top national security and top secret by the government. The question at hand is why the Greek Authority for the Assurance of Information and Communication Privacy was not informed and why regular legal procedures were not followed before deactivating the software.
  • March 11, 2005 - The Prosecutor for the Supreme Court, Mr. Linos gives a direct order to the Head Prosecutor in person so that an urgent and preliminary investigation be made far from public scrutiny. The order did not have any mention of a "suicide". The question at hand focused on the findings from the 11-month investigation (which began on March 11, 2005 and is still ongoing) and why the case seems to be re-examined from scratch.
  • June 11, 2005 - The local police precinct that investigated the death of Tsalikidis, closes the case on the suicide and sends the files to the Prosecutor’s office. According to the police, no evidence of a break-in was found, therefore, they did not see the need to conduct an autopsy nor to take fingerprints. Vodafone Greece did not hand over any personal data from Tsalikidis' personal computer to his family or to authorities, which would have greatly assisted the investigation.
  • January 30, 2006 - The Head Prosecutor, Mr. Papangelopoulos, claims to have been informed about the suicide case from the Major General, who mentioned the suicide outside of the court proceedings. A year later Vodafone Greece remained silent on the type of internal investigation that took place, on whether suspects were located and what type of sanctions were imposed on them relating to what is possibly one of the smelliest political scandals in the modern history of Greece.
  • February 1, 2006 - The preliminary investigation conducted by Mr. Papangelopoulos regarding the wire tapping is concluded with a statement claiming that he was waiting for evidence from state authorities.
  • February 2, 2006 - Criminal charges are filed against unknown perpetrators for wire tapping. On the same day, three ministers make statements to the press where they congratulate Mr. Koronias for his stance to erase the software program. The next day the press characterizes the handling of this case as a huge political and communication blunder.
  • February 3, 2006 - The press widely believes that the wire tapping case is related to the suicide of Tsalikidis. This is first page news in all the press and mass media of the country for the next two weeks. Countless news programs are assuming that the suicide of Tsalikidis may not have been a suicide.
  • February 8, 2006 - The investigation of Tsalikidis’ death is handed over to the highly experienced Prosecutor, Mr. Diotis. For the first time in a year since the death of Tsalikidis an investigation of his apartment is conducted. The results have not been made public yet.
  • March 9, 2006 - The day of the anniversary of Tsalikidis’ death, Mr. Koronias is cross-examined by the Parliamentary Committee on Institutions and Transparency. He stated that he did not order or receive the «lawful interception» software program. He also said that as the producer of the software, Ericsson was responsible since they had fully trained personnel on the functioning of the software program. Mr. Koronias stated that Vodafone has a very technologically elaborate security system and that it was because of his diligence that the incident was considered to be of «national security.» Parliament also suppoenaed the head of Ericsson to appear in a future hearing. With regard to the death of Tsalikidis, Mr. Koronias said that he mentioned the «suicide» to the ministers that he met with in March 2005 and that Vodafone was assisting authorities in any way possible with their investigation. The question here is whether an internal investigation file exists on Tsalikidis, and if so why the family members have never been informed of its findings.